Magyar Hypertonia Társaság |
Szimpózium - „A D-vitamin anyagcsere a kardiovaszkuláris megelőzésben” címmel |
Rendezvény kezdete: 2009.09.25. | Rendezvény vége: 2009.09.25. |
Helyszín: 1133 Budapest, Kárpát u. 62-64., Danubius Health Spa Resort Helia |
A Magyar Kardiológusok Társasága Metabolizmus Munkacsoportja, az Egészséges Szívért Alapítvánnyal közösen tudományos szimpóziumot szervez „A D-vitamin anyagcsere a kardiovaszkuláris megelőzésben” címmel.
Tudományos program: Takács István: A D-vitamin biológiája és sceletális hatásaiHalmy László: Az elhízás és a D-vitaminZajkás Gábor: A magyar lakosság D-vitamin ellátottságaLugasi Andrea: A vitamin túladagolás veszélyeiCsászár Albert: A D-vitaminhiány kardiovaszkuláris rizikófaktor
A szimpózium pontszerző, utólagos akkreditációval (írásbeli tesztvizsgával).
Részvételi szándékát kérjük Pálfy Zsuzsannánál jelezze a 06 (1) 2360 565-ös telefonszámon 2009. szeptember 22-ig.
Letölthetők további részletek a "Kapcsolódó dokumentumok" alól. |
Magyar Ortopéd Társaság |
A Magyar Gyógytornászok Társasága VII. Kongresszusa |
Rendezvény kezdete: 2009.09.24. | Rendezvény vége: 2009.09.26. |
Szakterület(ek): Ortopédia, Rehabilitáció, Traumatológia, Foglalkozás-egészségügy, Kardiológia, Reumatológia, Sebészet, Sportorvoslás, Szülészet-nőgyógyászat |
Tudományos információ: Dr. Tringer Lászlóné |
Címe: Magyarország Budapest Pf 72. 1277 |
Tel: 1/411-12-08 |
Fax: - |
E-mail: physioth@t-online.hu |
Szervező: Mészáros Gábor |
Munkahely neve: Congress & Hobby Service Kft. |
Címe: 6725 Szeged, Boldogasszony sgt. 53. |
Tel: (62) 484-531 |
Fax: (62) 450-014 |
E-mail: info@prof-congress.hu |
Helyszín: 8230 Balatonfüred, Horváth Mihály u. |
A rendezvény Web oldala: http://prof-congress.hu/2009/mgyt7 |
A konferenciával kapcsolatos minden információ (bejelentkezési lehetőséggel) a rendezvény honlapján megtalálható. |
Magyar Ortopéd Társaság |
16th Congress of the International Musculoskeletal Laser Society |
Rendezvény kezdete: 2009.09.23. | Rendezvény vége: 2009.09.26. |
Helyszín: 1021 Budapest, Pálos utca 2., Europa Hotels & Congress Center |
A rendezvény Web oldala: http://imlas2009.org/ |
Programme Objectives
Bringing together advanced technologies (biophotonics and emerging energy applications), cutting edge clinical experience in musculoskeletal (orthopaedic, spinal and vascular) therapies and surgical robotics. Exploring the ways and means of alleviating pain, regenerating mobility and restoring patient functionality throughout the musculoskeletal system by utilising advanced technologies and minimalist techniques.
Programme Topics
» Developments in laser, radiofrequency, ultrasound and new energy therapies
[Records of crystals from another source follow]
<<<
1.
The following is a DFT calculation (GGA+U) of a relaxed MgFe10O16F4 crystal.

The value obtained for the formation energy is -1.690 eV/atom. Its total magnetization is 46.0 μB/cell. Its mass density is 4465 kg/m3. The value obtained for the polymorph energy (0 for the lowest one) is 10.2 meV/atom.

Geometry as CIF:
```
data_MgFe10O16F4
_chemical_formula_sum 'Mg1 Fe10 O16 F4'
_cell_length_a 4.8541
_cell_length_b 5.5548
_cell_length_c 12.8751
_cell_angle_alpha 101.47
_cell_angle_beta 90.24
_cell_angle_gamma 90.32
_space_group_name_H-M_alt 'P 1'
_space_group_IT_number 1
loop_
_space_group_symop_operation_xyz
'x,y,z'
loop_
_atom_site_label
_atom_site_type_symbol
_atom_site_fract_x
_atom_site_fract_y
_atom_site_fract_z
Mg1 Mg 0.0000 0.0000 0.0000
Fe1 Fe 0.0018 0.8076 0.7080
Fe2 Fe 0.0296 0.5460 0.8913
Fe3 Fe 0.4549 0.4994 0.4977
Fe4 Fe 0.4581 0.2688 0.6906
Fe5 Fe 0.4970 0.0743 0.8997
Fe6 Fe 0.5009 0.6996 0.3040
Fe7 Fe 0.5177 0.8920 0.1041
Fe8 Fe 0.9530 0.2304 0.3128
Fe9 Fe 0.9578 0.0052 0.5099
Fe10 Fe 0.9933 0.4650 0.1128
O1 O 0.1561 0.7457 0.5664
O2 O 0.1658 0.3076 0.9689
O3 O 0.1777 0.5283 0.7528
O4 O 0.2793 0.2365 0.5550
O5 O 0.2876 0.4509 0.3563
O6 O 0.3011 0.0400 0.7671
O7 O 0.3186 0.6548 0.1669
O8 O 0.3323 0.8098 0.9638
O9 O 0.6582 0.7625 0.4422
O10 O 0.6624 0.1684 0.0476
O11 O 0.6685 0.9709 0.2460
O12 O 0.7790 0.2618 0.4489
O13 O 0.7849 0.0488 0.6491
O14 O 0.8058 0.4750 0.2435
O15 O 0.8338 0.8604 0.8487
O16 O 0.8367 0.6906 0.0370
F1 F 0.1539 0.1303 0.1535
F2 F 0.1577 0.9513 0.3614
F3 F 0.6621 0.5525 0.6442
F4 F 0.6752 0.3594 0.8430
```

***

2.
The following is a DFT calculation (GGA+U) of a relaxed SbP6W3O24 crystal.

The value obtained for the formation energy is -2.428 eV/atom. Its total magnetization is 3.0 μB/cell. Its mass density is 4070 kg/m3.

Geometry as CIF:
```
data_SbP6W3O24
_chemical_formula_sum 'Sb1 P6 W3 O24'
_cell_length_a 9.0481
_cell_length_b 9.0481
_cell_length_c 9.0481
_cell_angle_alpha 58.62
_cell_angle_beta 58.62
_cell_angle_gamma 58.62
_space_group_name_H-M_alt 'P 1'
_space_group_IT_number 1
loop_
_space_group_symop_operation_xyz
'x,y,z'
loop_
_atom_site_label
_atom_site_type_symbol
_atom_site_fract_x
_atom_site_fract_y
_atom_site_fract_z
Sb1 Sb 0.0000 0.0000 0.0000
P1 P 0.0994 0.6712 0.4023
P2 P 0.1800 0.5994 0.8956
P3 P 0.4023 0.0994 0.6712
P4 P 0.5994 0.8956 0.1800
P5 P 0.6712 0.4023 0.0994
P6 P 0.8956 0.1800 0.5994
W1 W 0.2851 0.2851 0.2851
W2 W 0.4983 0.4983 0.4983
W3 W 0.7858 0.7858 0.7858
O1 O 0.0062 0.6337 0.8684
O2 O 0.0758 0.1925 0.4311
O3 O 0.0828 0.8491 0.2354
O4 O 0.1255 0.5066 0.3664
O5 O 0.1683 0.7696 0.9052
O6 O 0.1925 0.4311 0.0758
O7 O 0.2354 0.0828 0.8491
O8 O 0.2601 0.6256 0.4490
O9 O 0.3564 0.5445 0.7413
O10 O 0.3664 0.1255 0.5066
O11 O 0.4311 0.0758 0.1925
O12 O 0.4490 0.2601 0.6256
O13 O 0.5066 0.3664 0.1255
O14 O 0.5445 0.7413 0.3564
O15 O 0.5735 0.9229 0.6972
O16 O 0.6256 0.4490 0.2601
O17 O 0.6337 0.8684 0.0062
O18 O 0.6972 0.5735 0.9229
O19 O 0.7413 0.3564 0.5445
O20 O 0.7696 0.9052 0.1683
>>>
» Developments in biophotonics, clinical endoscopy and spectroscopy
» Musculoskeletal pathology and degeneration
» Patient diagnosis and selection
» State of the art minimally invasive techniques in musculoskeletal
(orthopaedic, vascular and spinal etc)surgery and outcomes
» Minimally invasive implant technology and clinical outcomes
» Novel materials and devices and their assessment
» Development and application of surgical robotics
Go to homepage >> |
Magyar Dermatológiai Társulat |
World Vitiligo Day-USA Virtual Event 2020 |
Rendezvény kezdete: 2020.06.27. | Rendezvény vége: 2020.06.27. |
Címe: 1932 S. Halsted St., Suite 413
Chicago, IL 60608
wvdusa.org |
Helyszín: online, |
A rendezvény Web oldala: https://globalvitiligofoundation.org/wvd-usa-virtual-event/ |
FREE REGISTRATION! **While the event is free, we do require you to register for the event.
All people with an interest in Vitiligo are welcome.
We will see you on Saturday, June 27, 2020!
Motivational Speaker
James Mcleod (That Vitiligo Guy) is a force of positivity, dedicated to shaping bodies and minds through self-love and inclusivity. He shares his story as a motivational speaker, social influencer, personal trainer, and author.
Event Host
Tiffanie Foster dedicates her life to empowering youth through affirmations of self-love. Her message is simple: “I Am Great” - declaring that no matter what life obstacles may come your way, you are destined for greatness. |
Magyar Nephrologiai Társaság |
Nephro Update Europe 2020 - 4th European Update Congress in Nephrology (The Hague, 18 – 19 September 2020) |
Rendezvény kezdete: 2020.06.16. | Rendezvény vége: 2020.06.16. |
Helyszín: The Netherlands, Hague, |
A rendezvény Web oldala: https://nephro-update-europe.eu/ |
Earlybird registration: until 30 June 2020
Website: https://nephro-update-europe.eu/
Dear Colleagues,
Next to the text, the page also holds crystal structures >
=====
Entry from the Materials Project: ZnS after structural relaxation (GGA-PBE).

Values from the calculation:
Total moment (μB per formula unit): 0.000
E_tot (eV per atom): -3.038
Energy of formation (eV/atom): -0.591
Density (kg/m3): 3332
Calculated volume (Å³ per cell): 2428.8

Cell and atoms, written as CIF:
```
data_ZnS
_symmetry_space_group_name_H-M 'P 1'
_symmetry_Int_Tables_number 1
_cell_length_a 13.385
_cell_length_b 13.453
_cell_length_c 13.547
_cell_angle_alpha 85.53
_cell_angle_beta 89.89
_cell_angle_gamma 87.05
loop_
_symmetry_equiv_pos_as_xyz
'x,y,z'
loop_
_atom_site_label
_atom_site_fract_x
_atom_site_fract_y
_atom_site_fract_z
Zn1 0.000 0.000 0.000
Zn2 0.008 0.248 0.891
Zn3 0.030 0.839 0.183
Zn4 0.043 0.559 0.026
Zn5 0.078 0.330 0.479
Zn6 0.080 0.406 0.233
Zn7 0.091 0.861 0.859
Zn8 0.105 0.066 0.736
Zn9 0.156 0.830 0.445
Zn10 0.211 0.060 0.003
Zn11 0.247 0.747 0.028
Zn12 0.254 0.586 0.122
Zn13 0.266 0.738 0.692
Zn14 0.296 0.323 0.312
Zn15 0.334 0.945 0.813
Zn16 0.375 0.438 0.674
Zn17 0.413 0.115 0.475
Zn18 0.423 0.258 0.673
Zn19 0.433 0.838 0.471
Zn20 0.455 0.623 0.263
Zn21 0.466 0.564 0.872
Zn22 0.482 0.008 0.111
Zn23 0.490 0.461 0.155
Zn24 0.508 0.722 0.726
Zn25 0.512 0.134 0.898
Zn26 0.546 0.302 0.056
Zn27 0.546 0.999 0.690
Zn28 0.550 0.862 0.011
Zn29 0.562 0.963 0.281
Zn30 0.564 0.362 0.743
Zn31 0.572 0.194 0.341
Zn32 0.628 0.602 0.213
Zn33 0.633 0.121 0.192
Zn34 0.651 0.691 0.832
Zn35 0.665 0.366 0.192
Zn36 0.697 0.024 0.598
Zn37 0.705 0.345 0.502
Zn38 0.727 0.224 0.896
Zn39 0.733 0.468 0.947
Zn40 0.742 0.876 0.493
Zn41 0.754 0.547 0.676
Zn42 0.834 0.148 0.370
Zn43 0.845 0.813 0.982
Zn44 0.847 0.473 0.254
Zn45 0.900 0.245 0.626
Zn46 0.910 0.962 0.381
Zn47 0.913 0.039 0.541
Zn48 0.934 0.289 0.097
Zn49 0.963 0.499 0.570
Zn50 0.986 0.713 0.671
S1 0.006 0.826 0.350
S2 0.016 0.330 0.739
S3 0.045 0.602 0.863
S4 0.052 0.156 0.033
S5 0.072 0.394 0.069
S6 0.075 0.985 0.589
S7 0.078 0.227 0.641
S8 0.131 0.484 0.518
S9 0.135 0.273 0.335
S10 0.135 0.722 0.593
S11 0.159 0.897 0.072
S12 0.181 0.994 0.479
S13 0.240 0.089 0.835
S14 0.246 0.389 0.589
S15 0.250 0.799 0.851
S16 0.305 0.630 0.336
S17 0.306 0.781 0.364
S18 0.324 0.428 0.174
S19 0.345 0.128 0.090
S20 0.374 0.588 0.734
S21 0.398 0.102 0.641
S22 0.398 0.236 0.984
S23 0.403 0.840 0.643
S24 0.422 0.990 0.373
S25 0.432 0.745 0.074
S26 0.434 0.274 0.404
S27 0.489 0.610 0.026
S28 0.495 0.967 0.869
S29 0.569 0.418 0.905
S30 0.602 0.769 0.459
S31 0.619 0.195 0.773
S32 0.626 0.428 0.357
S33 0.637 0.453 0.615
S34 0.643 0.140 0.026
S35 0.664 0.824 0.323
S36 0.688 0.176 0.468
S37 0.689 0.768 0.973
S38 0.724 0.544 0.357
S39 0.742 0.512 0.112
S40 0.789 0.582 0.831
S41 0.831 0.101 0.670
S42 0.832 0.286 0.238
S43 0.847 0.320 0.943
S44 0.867 0.641 0.582
S45 0.887 0.367 0.498
S46 0.889 0.914 0.097
S47 0.970 0.743 0.847
S48 0.980 0.993 0.832
S49 0.987 0.656 0.149
S50 0.996 0.554 0.275
```

* * * * *

# 1
MnO2 GGA+U relaxed; DFT total energy = -7.128 eV/atom
1.0
4.564 -2.197 4.741
5.116 -3.977 2.476
=====
Here the text continues >
We are pleased to announce the 4th Nephro Update Europe taking place on 18 – 19 September in The Hague...just a 40-minute drive from Amsterdam‘s International Airport.
With 13 highly-reputable and experienced experts across the field, we are thrilled to offer you again relevant and top-quality medical education for nephrologists … in our opinion.
We have created a cutting-edge program for you to get up-to-date on the most significant and practical, current developments in nephrology. Over 2 days, specialists will engage with you and summarize the latest
international, peer-reviewed journal results, with all presentations for you to download and take home.
Videos-on-demand will also be available after the event on http://www.streamed-up.com – register for free!
Submit an Abstract and pay only 250 €! ePosters will be displayed throughout the event, and prizes worth over 500 € will be given out on Saturday! Young nephrologists (35 yrs & younger) pay only 250 €!
This event will take place either as a live event or virtual online event – depending on event restrictions in September. Please note: on-site tickets will be changed to livestream tickets, or cancellations will be allowed at no cost.
Magyar Dermatológiai Társulat |
AAD VMX 2020 Virtual Meeting Experience |
Rendezvény kezdete: 2020.06.12. | Rendezvény vége: 2020.06.14. |
Helyszín: online, |
A rendezvény Web oldala: https://www.aad.org/member/meetings-education/aadvmx |
Join us Friday, June 12 - Sunday, June 14 for a dynamic educational experience and the opportunity to connect with your colleagues in a virtual setting.
Earn over 27.75 AMA PRA CME Credit™ for participating!
AAD VMX will include 14 robust sessions covering topics such as therapeutics, cosmetics, psoriasis, hair disorders, and more – plus 4 late breaking research sessions. Be sure to attend our live Q&A’s with expert faculty to gain even more insight into these topics.
Stop by the virtual exhibit hall to chat with our exhibitors and sponsors and view over 900 ePosters. Earn badges by completing various activities throughout VMX for a chance to win prizes.
3-day live event with on-demand access through 2020
The event will feature live Q/As with presenters, networking, and exhibits on the following dates and times:
Friday, June 12: 2 pm CT – 5 pm CT
Saturday, June 13: 9 am CT – 5 pm CT
Sunday, June 14: 9 am CT – 1 pm CT
Can’t make it for the whole weekend? Don’t worry, all content will be available until Dec. 31, 2020. |
Magyar Dermatológiai Társulat |
ESPD 2020, Bécs ELHALASZTVA 2021. május 12-14-re |
Rendezvény kezdete: 2020.06.11. | Rendezvény vége: 2020.06.13. |
Helyszín: Austria, Vienna, |
A rendezvény Web oldala: https://www.espd.info/espd2021 |
20th Annual Meeting of the European Society for Pediatric Dermatology (ESPD)
Important dates:
1 April 2020 Early Registration Deadline
1 June 2020 Late Registration Deadline
2 June 2020 Onsite Registration Applies
10 May 2020 Hotel Accommodation Deadline
Dear colleagues,
on behalf of the ESPD and the Austrian Working Group of Pediatric Dermatology associated with the Austrian Society of Dermatology and Venerology (OEGDV) it is a great pleasure for us to welcome you as the Meeting Presidents of the 20 th ESPD Annual Meeting, which will be held on the 11-13 th of June 2020 in Vienna, Austria.
The excellent scientific programme with emphasis on recent advances in the field of pediatric dermatology is addressed to dermatologists, pediatricians as well as general practitioners. Chairs and speakers are international well known experts in the field. The programme is organized in two parallel sections and has seven Plenary Lectures, in honour to famous masters of pediatric dermatology in Europe and one dedicated to the recently founded joint collaboration between ESPD and ESDR. Opportunities for presentation at this meeting are available to all participants. Selected papers can be presented as adjunct to parallel sessions, and posters at lunchtime and during breaks. Prices will be given to best posters and oral presentations. Young and rising stars will have the opportunity to present late-breaking news and we will also honour our teachers in pediatric dermatology. Please take a look at the programme section of this website for further details.
Vienna is located in the heart of Europe and well known for its numerous historical tourist attractions. The meeting will take place in the HOFBURG Convention Center, which fulfills the high standards of a modern convention site. It is part of the former imperial palace, which hosts also several museums. The Stephansdom, the State Opera House, the National Library and other sights are in walking distance. A welcome reception will take place on the first evening in the conference center, to which all delegates are cordially invited.
**The page is interrupted by data records:**
(1)
Entry from the Materials Project database: a geometry-optimized Ga3Hg structure (GGA-PBE).

a = 6.1348 Å, b = 6.1348 Å, c = 5.1411 Å
α = 90.00°, β = 90.00°, γ = 120.00°
Positions (direct):
1 Ga 0.8393 0.6786 0.7500
2 Hg 0.6667 0.3333 0.2500
3 Ga 0.1607 0.8393 0.2500
4 Ga 0.8393 0.1607 0.7500
5 Ga 0.6786 0.8393 0.2500
6 Ga 0.1607 0.3214 0.2500
7 Hg 0.3333 0.6667 0.7500
8 Ga 0.3214 0.1607 0.7500

Results
calculated total energy: -2.26 eV/atom
ΔH_f (0 K): 87 meV per atom

***

(2)
Entry from the Materials Project database: a geometry-optimized GaHg3 structure (GGA-PBE).

a = 5.2189 Å, b = 5.2189 Å, c = 5.2189 Å
α = 60.00°, β = 60.00°, γ = 60.00°
Positions (direct):
1 Hg 0.7500 0.7500 0.7500
2 Ga 0.0000 0.0000 0.0000
3 Hg 0.2500 0.2500 0.2500
4 Hg 0.5000 0.5000 0.5000

Results
calculated total energy: -0.92 eV/atom
ΔH_f (0 K): 69 meV per atom

***

(3)
Entry from the Materials Project database: a geometry-optimized GaHg3 structure (GGA-PBE).

a = 5.9323 Å, b = 5.9323 Å, c = 5.9323 Å
α = 135.12°, β = 135.12°, γ = 65.34°
Positions (direct):
1 Hg 0.5000 0.5000 0.0000
2 Ga 0.0000 0.0000 0.0000
3 Hg 0.2500 0.7500 0.5000
4 Hg 0.7500 0.2500 0.5000

Results
calculated total energy: -0.92 eV/atom
ΔH_f (0 K): 67 meV per atom

***

(4)
Entry from the Materials Project database: a geometry-optimized Ga3Hg structure (GGA-PBE).

a = 5.5288 Å, b = 5.5288 Å, c = 5.5288 Å
α = 134.87°, β = 134.87°, γ = 65.72°
Positions (direct):
1 Ga 0.7500 0.2500 0.5000
2 Ga 0.5000 0.5000 0.0000
3 Ga 0.2500 0.7500 0.5000
4 Hg 0.0000 0.0000 0.0000

Results
calculated total energy: -2.27 eV/atom
ΔH_f (0 K): 75 meV per atom

***

(5)
Entry from the Materials Project database: a geometry-optimized GaHg3 structure (GGA-PBE).

a = 6.6446 Å, b = 6.6446 Å, c = 5.2996 Å
α = 90.00°, β = 90.00°, γ = 120.00°
Positions (direct):
1 Ga 0.3333 0.6667 0.7500
2 Hg 0.6618 0.8309 0.2500
3 Hg 0.3382 0.1691 0.7500
4 Hg 0.8309 0.6618 0.7500
5 Ga 0.6667 0.3333 0.2500
6 Hg 0.1691 0.3382 0.2500
7 Hg 0.8309 0.1691 0.7500
8 Hg 0.1691 0.8309 0.2500

Results
calculated total energy: -0.92 eV/atom
ΔH_f (0 K): 65 meV per atom

***

(6)
Entry from the Materials Project database: a geometry-optimized Pm2GaHg structure (GGA-PBE).

a = 5.3194 Å, b = 5.3194 Å, c = 5.3194 Å
α = 60.00°, β = 60.00°, γ = 60.00°
Positions (direct):
1 Pm 0.2500 0.2500 0.2500
2 Hg 0.0000 0.0000 0.0000
3 Pm 0.7500 0.7500 0.7500
4 Ga 0.5000 0.5000 0.5000

Results
calculated total energy: -3.71 eV/atom
ΔH_f (0 K): -504 meV per atom

***

(7)
Entry from the Materials Project database: a geometry-optimized Ga2Hg5Se8 structure (GGA-PBE).

a = 8.4697 Å, b = 8.4697 Å, c = 8.4697 Å
α = 119.04°, β = 119.04°, γ = 91.67°
Positions (direct):
1 Hg 0.2350 0.7650 0.0000
2 Ga 0.2375 0.2375 0.0000
3 Hg 0.2500 0.7500 0.5000
4 Hg 0.7650 0.7650 0.5300
5 Se 0.8529 0.5979 0.7449
6 Se 0.4021 0.1471 0.2551
7 Se 0.4010 0.6314 0.7696
8 Ga 0.7625 0.7625 0.0000
9 Se 0.8920 0.1471 0.7449
10 Se 0.8618 0.6314 0.2304
11 Hg 0.2350 0.2350 0.4700
12 Se 0.3686 0.5990 0.2304
**Here the page continues:**
Please take care of the deadlines for abstract submission and registration.
We look forward to welcome you in Vienna!
Beatrix Volc-Platzer and Matthias Schmuth
20th ESPD Annual Meeting Presidents |